Quote only the lines below with the word "gap" in them, please.

~~~
The following is a DFT calculation (the ωB97M-V functional and the def2-TZVPD basis) of C2H4O5 in the gas phase in a non-equilibrium geometry.

```
11
Properties=species:S:1:pos:R:3
C 1.08867 -0.38074 0.23169
C -1.23167 0.06388 0.00985
O -0.27545 0.57632 0.66568
O 2.13833 0.19796 0.82212
O 1.26319 -0.50632 -1.10534
O -2.25801 1.26486 0.12881
O -1.41066 -0.85240 -0.73503
H 2.44900 0.93608 0.27629
H 0.52273 -1.01053 -1.48471
H -3.14440 1.03302 0.44537
H 0.85827 -1.32213 0.74526
```

frontier orbital gap = 0.4157 Ha
SMILES = O=C(O)OC(O)O
HOMO level = -10.8 eV
relative energy (zero: lowest compared OMol25 entry of this formula, charge and spin) = 0.0 kJ/mol
total charge = 0
F_max = 6.1 eV/A
LUMO energy = 0.547 eV
multiplicity = 1

These are the natural (NBO) partial charges, in e, on atoms 1 to 2:
1 C 0.6417
2 C 1.0086

=====

1.
{
  "formula": "C5H6HgLiO4",
  "method": "ωB97M-V with the def2-TZVPD basis set",
  "s2": 2.009,
  "e_above_lowest_kj_mol": 171.0,
  "homo_ev": [-8.93, -14.55],
  "e_tot_ev": -17841.6733,
  "lumo_energy_ev": [-4.27, -7.06],
  "gap_ev": [4.7, 7.5],
  "charge": 1,
  "spin_multiplicity": 3,
  "symbols": ["O", "C", "O", "O", "C", "C", "Li", "H", "H", "H", "H", "Hg", "C", "C", "O", "H", "H"],
  "coordinates": [[-1.0762, -1.7638, -2.7017], [-0.7537, -2.2419, -1.5899], [-0.7678, -3.4480, -1.2461], [0.0282, -1.4827, -0.7312], [-0.6128, -0.3582, -0.1488], [0.4451, 0.4322, 0.6303], [0.5699, -3.2407, 0.3976], [-1.2905, -0.8079, 0.5822], [-0.9528, 0.2674, -0.9782], [1.3547, 0.5240, 0.0388], [0.7003, -0.0986, 1.5456], [1.0205, -0.7365, -2.7611], [-0.0285, 2.0756, 1.0765], [0.9302, 2.8723, 1.7551], [1.7056, 3.4957, 2.3318], [-0.3307, 2.5423, 0.1403], [-0.9418, 1.9689, 1.6588]],
  "forces_ev_per_a": [[0.2, 0.9, 0.8], [-0.1, -4.2, -1.3], [-0.1, 1.4, 0.7], [1.0, -0.4, 1.0], [0.9, 1.5, 1.3], [-0.5, 0.9, 0.3], [-0.7, -0.1, -0.8], [-0.8, 0.8, -0.5], [-1.0, -0.2, 0.4], [0.1, 0.2, -0.1], [0.0, 0.1, 0.2], [0.6, 0.7, -1.4], [0.6, -1.6, -0.4], [-2.5, -1.2, -1.3], [1.8, 1.0, 1.1], [0.2, 0.1, -0.2], [0.1, 0.0, 0.3]]
}


2.
{
  "formula": "C29H86N16O11",
  "method": "ωB97M-V with the def2-TZVPD basis set",
  "e_above_lowest_kj_mol": 134.5,
  "smiles": "COC[C@H](C)N.COC[C@H](C)N.COC[C@H](C)N.COC[C@H](C)N.COC[C@H](C)N.COC[C@H](C)N.NC(N)=O.NC(N)=O.NC(N)=O.NC(N)=O.NC(N)=O",
  "homo_ev": -8.72,
  "e_tot_ev": -77834.1310,
  "lumo_energy_ev": 0.53,
  "gap_ev": 9.3,
  "charge": 0,
  "symbols": ["C", "O", "N", "N", "H", "H", "H", "H", "C", "O", "N", "N", "H", "H", "H", "H", "C", "O", "N", "N", "H", "H", "H", "H", "C", "O", "N", "N", "H", "H", "H", "H", "C", "O", "N", "N", "H", "H", "H", "H", "C", "C", "C", "O", "C", "N", "H", "H", "H", "H", "H", "H", "H", "H", "H", "H", "H", "C", "C", "C", "O", "C", "N", "H", "H", "H", "H", "H", "H", "H", "H", "H", "H", "H", "C", "C", "C", "O", "C", "N", "H", "H", "H", "H", "H", "H", "H", "H", "H", "H", "H", "C", "C", "C", "O", "C", "N", "H", "H", "H", "H", "H", "H", "H", "H", "H", "H", "H", "C", "C", "C", "O", "C", "N", "H", "H", "H", "H", "H", "H", "H", "H", "H", "H", "H", "C", "C", "C", "O", "C", "N", "H", "H", "H", "H", "H", "H", "H", "H", "H", "H", "H"],
~~~

frontier orbital gap = 0.4157 Ha